### Entries
+++
(1)
The following is a DFT calculation (the ωB97M-V functional and the def2-TZVPD basis) of a structure of composition C49H38Cl3N4O2PS5Sc.

Geometry as XYZ:
```
103
Properties=species:S:1:pos:R:3:forces:R:3
Sc 0.246 0.303 0.031 -0.291 -0.481 0.496
N -2.968 -1.505 -2.672 -0.030 0.020 0.018
C -4.130 -0.695 -2.553 0.023 -0.075 0.071
C -5.055 -0.643 -3.580 0.015 0.027 -0.013
C -6.172 0.172 -3.458 0.000 0.023 0.000
C -6.341 0.956 -2.327 0.004 0.004 0.012
C -5.392 0.925 -1.315 -0.035 -0.097 0.041
C -4.301 0.076 -1.415 -0.264 -0.150 0.047
S -3.132 -0.015 -0.104 0.076 -0.150 0.063
N -1.725 -0.491 -0.957 -0.108 -0.063 0.269
C -1.807 -1.172 -2.033 0.119 0.020 -0.094
C -0.515 -1.640 -2.618 -0.023 0.007 0.023
C -0.454 -2.519 -3.687 0.012 0.001 0.015
C 0.785 -2.909 -4.174 0.004 -0.009 -0.012
C 1.920 -2.402 -3.577 0.020 0.019 -0.007
C 1.771 -1.540 -2.503 -0.027 0.050 -0.050
N 0.588 -1.169 -2.015 0.025 0.227 -0.031
H -2.871 -1.953 -3.567 -0.009 0.006 0.004
H -4.909 -1.243 -4.472 0.001 -0.002 -0.002
H -6.904 0.199 -4.254 -0.003 -0.005 -0.002
H -7.203 1.602 -2.235 -0.002 0.001 -0.005
H -5.491 1.559 -0.442 0.001 0.003 -0.005
H -1.345 -2.925 -4.144 -0.014 0.007 0.013
H 0.852 -3.598 -5.005 0.001 0.001 -0.001
H 2.911 -2.665 -3.920 0.001 0.003 -0.001
H 2.644 -1.133 -2.017 0.016 -0.005 0.006
O -0.841 -0.541 1.546 -0.214 0.098 0.082
N -0.915 -0.139 2.818 0.054 -0.028 -0.054
C -1.974 -0.580 3.528 0.032 0.021 0.023
C -2.114 -0.243 4.843 -0.010 -0.004 -0.025
C -1.132 0.564 5.431 -0.020 -0.010 0.020
C -0.073 1.005 4.684 0.015 0.010 -0.025
C 0.049 0.670 3.323 -0.035 -0.003 0.046
S 1.279 1.256 2.300 0.032 -0.090 -0.177
H -2.656 -1.195 2.961 -0.012 -0.009 0.027
H -2.968 -0.602 5.397 0.002 0.003 0.003
H -1.211 0.844 6.473 -0.004 -0.003 0.001
H 0.693 1.639 5.107 0.003 0.002 -0.006
Cl 2.932 0.762 -0.454 0.138 0.054 0.031
C 4.073 -0.451 0.144 -0.027 0.134 -0.097
C 5.400 -0.111 -0.078 0.015 -0.051 0.021
C 6.392 -0.995 0.305 0.002 0.006 -0.004
C 6.048 -2.204 0.895 -0.002 0.002 -0.002
C 4.717 -2.512 1.108 -0.042 -0.017 0.026
C 3.683 -1.642 0.745 0.059 -0.019 -0.002
P 1.920 -2.042 1.067 -0.055 0.175 -0.143
C 1.841 -2.117 2.886 0.048 0.020 0.023
C 0.738 -2.750 3.457 -0.033 0.011 0.019
C 0.589 -2.795 4.834 -0.012 0.008 0.009
C 1.536 -2.200 5.656 0.011 -0.001 -0.004
C 2.631 -1.560 5.094 -0.012 -0.011 -0.001
C 2.784 -1.517 3.715 0.000 0.009 0.008
C 1.787 -3.822 0.655 0.032 -0.056 0.022
C 2.254 -4.828 1.507 -0.004 0.014 0.010
C 2.126 -6.163 1.162 0.000 -0.001 -0.018
C 1.516 -6.519 -0.035 0.001 -0.008 0.014
C 1.024 -5.534 -0.875 0.015 0.015 -0.002
C 1.156 -4.195 -0.528 -0.034 -0.011 -0.041
H 5.642 0.832 -0.547 -0.005 0.001 -0.004
H 7.430 -0.741 0.137 -0.001 0.002 -0.001
H 6.817 -2.905 1.191 0.000 0.001 0.002
H 4.466 -3.455 1.572 -0.018 -0.023 0.015
H -0.008 -3.216 2.823 0.008 0.010 -0.010
H -0.268 -3.297 5.265 0.000 0.001 0.001
H 1.421 -2.235 6.731 0.001 -0.001 0.001
H 3.372 -1.091 5.729 0.001 0.000 0.002
H 3.636 -1.001 3.292 0.002 -0.005 -0.018
H 2.691 -4.568 2.463 0.021 0.003 -0.014
H 2.492 -6.927 1.834 0.000 -0.005 -0.004
H 1.411 -7.563 -0.300 0.002 -0.002 -0.001
H 0.527 -5.803 -1.798 -0.001 -0.007 -0.001
H 0.745 -3.438 -1.181 0.001 -0.056 0.070
Cl 1.055 1.809 -3.336 -0.122 -0.086 -0.219
C 2.285 2.146 -4.564 -0.041 -0.026 0.078
Cl 3.790 1.264 -4.257 0.023 -0.013 0.013
H 2.493 3.209 -4.543 0.044 -0.003 0.011
H 1.900 1.833 -5.527 -0.006 0.015 0.003
O -0.502 1.977 -0.314 0.380 0.120 -0.436
C -0.998 3.284 -0.462 -0.122 -0.152 0.090
C 0.109 4.284 -0.201 -0.085 0.044 0.001
C 0.038 5.471 0.460 0.003 -0.017 -0.015
C 1.274 6.177 0.462 0.025 -0.001 -0.007
C 2.253 5.506 -0.199 -0.012 0.041 0.047
S 1.684 4.024 -0.837 0.084 0.048 0.066
C -2.136 3.490 0.523 -0.014 0.028 -0.033
C -3.394 3.954 0.285 0.003 0.010 0.001
C -4.202 3.992 1.457 0.003 0.002 0.026
C -3.531 3.557 2.558 -0.050 0.035 -0.026
S -1.921 3.118 2.187 0.019 -0.095 0.045
C -1.523 3.440 -1.876 0.085 0.139 -0.094
C -1.278 4.437 -2.770 -0.026 -0.006 0.033
C -1.945 4.243 -4.012 -0.053 0.007 -0.003
+++

### Brief
Could you count the lines further up that contain the word "Geometry" and give the number alone?

### Worked solution
1